To do
What is needed: find the line below that holds "-0.449 3.4674", then retype that line and all lines after it there.
Source
'''
No. 1
32
Properties=species:S:1:pos:R:3:forces:R:3:nbo_charge:R:1 method="wB97M-V/def2-TZVPD" e_above_lowest_kcal_mol=203.57 charge=0 homo_lumo_gap_ev=10.197 e_tot_ha=-837.99404
C 1.134 -0.591 0.371 2.0547 -3.0556 -1.5897 -0.205
C 0.778 0.261 1.520 -3.5349 -0.8877 0.0076 0.683
C 1.682 0.111 -0.883 1.0547 0.5113 -3.1779 -0.251
C 2.726 -1.147 -1.600 0.8642 -0.3439 0.9522 -0.618
C 2.844 1.006 -0.449 3.4674 2.3553 -0.7887 -0.662
C -1.565 0.741 0.388 1.0669 -2.0135 1.3686 -0.237
C -1.648 1.990 -0.394 -2.8679 -0.5695 -2.5958 0.746
C -2.771 -0.056 1.002 2.4201 0.8460 4.6653 -0.529
C -3.396 -0.665 -0.147 -2.8643 -1.4324 0.8720 0.773
H -0.001 -2.353 1.004 0.4004 0.3783 1.6353 0.376
H 0.392 -2.412 -0.458 -0.3492 1.5963 0.3039 0.374
H 2.156 -1.154 0.377 -1.9543 1.2023 2.5284 0.237
H 0.990 0.775 -1.636 1.3715 -2.2713 1.6093 0.253
H 4.022 -0.651 -2.029 -4.5782 -1.7102 1.2948 0.250
H 2.172 -1.789 -2.401 1.3265 1.1994 1.3181 0.221
H 2.935 -1.961 -0.484 -0.1149 2.2480 -3.9722 0.191
H 3.539 0.341 0.148 -0.5240 1.1082 -0.4471 0.215
H 2.836 2.039 0.026 -1.3645 -1.4514 0.3932 0.234
H 3.541 1.481 -1.353 -1.8971 -2.0419 1.5666 0.227
H -0.858 1.309 2.364 0.9505 -1.4984 -2.1250 0.414
H -1.301 -0.077 -0.383 0.3857 1.5287 1.1167 0.351
H -3.432 0.340 2.092 1.8734 -0.8724 -4.0547 0.258
H -1.974 -0.871 1.451 -2.7455 1.2778 -0.9170 0.294
H -4.891 -1.501 -0.762 -0.8804 2.0218 2.4396 0.492
H -0.064 2.539 0.527 -1.9768 0.7752 -2.8134 0.502
N 0.084 -1.697 0.258 0.8519 0.0167 -2.7638 -0.854
N -0.542 0.797 1.454 0.3164 2.1639 1.4441 -0.693
O 1.318 0.205 2.575 1.5965 0.7203 1.5144 -0.555
O -2.479 2.150 -1.274 -0.0889 -0.4032 1.0088 -0.593
O -2.732 -1.151 -1.028 -1.8940 0.0887 -0.2248 -0.568
O -4.825 -0.821 0.054 3.3736 -2.4525 -4.2030 -0.681
O -0.670 2.812 -0.328 4.2603 0.9659 3.6343 -0.642

No. 2
33
Properties=species:S:1:pos:R:3:forces:R:3:nbo_charge:R:1 method="wB97M-V/def2-TZVPD" e_above_lowest_kcal_mol=163.41 charge=0 homo_lumo_gap_ev=8.920 e_tot_ha=-1236.24026
C 4.357 -0.479 -1.119 1.0598 0.2155 1.5515 -0.276
C 2.483 -1.052 0.243 0.8405 -0.3740 -1.3567 0.370
C 1.291 -0.783 0.941 -3.7473 -1.5866 0.8816 0.378
C 1.496 1.625 1.353 -0.4218 -0.4648 -0.8018 -0.120
C 1.078 1.916 -0.097 -0.0348 -0.9494 -1.7729 -0.120
C -1.165 2.130 0.169 -2.1814 -0.4696 -0.4421 -0.101
C -1.639 0.981 -0.781 0.1258 0.4850 1.6457 -0.096
C -3.475 -0.570 -0.659 -0.4011 0.4506 1.5197 -0.065
C -3.222 -1.496 0.556 -0.9806 -0.2447 -2.1486 -0.099
H 3.827 -0.719 -2.053 0.1342 -0.0386 0.7179 0.214
H 5.003 -1.262 -0.701 -0.8997 -0.6817 -0.4689 0.206
H 5.218 0.235 -1.297 -1.9334 0.5110 0.4603 0.211
H 1.055 2.362 2.075 0.3191 -1.0112 -0.6485 0.227
H 2.566 1.539 1.446 0.3027 0.0934 0.2848 0.214
H 1.791 2.323 -0.927 -0.6385 -1.0018 2.0689 0.218
H 0.723 0.750 -0.349 0.8995 3.6331 -0.6508 0.181
H -1.222 1.559 1.087 0.7820 0.5513 0.9834 0.178
H -1.955 2.873 0.198 -0.2666 -0.0547 -0.0030 0.198
H -0.868 0.154 -0.817 -1.4663 0.1673 0.5334 0.171
H -1.678 1.342 -1.762 -0.5064 0.5282 -1.8005 0.169
H -4.560 -0.492 -0.873 0.6492 0.0107 -0.0477 0.179
H -2.916 -0.831 -1.516 0.2555 -0.9477 -1.0721 0.172
H -4.018 -1.171 1.260 1.0363 -0.5104 0.2181 0.176
H -2.169 -1.315 0.796 -0.3799 -0.3068 0.8082 0.196
H -3.922 -3.491 0.875 2.4579 3.0368 -3.7790 0.467
N 2.595 -2.205 -0.336 -2.7530 -1.7037 1.1667 -0.594
N 0.353 -1.787 0.900 3.3919 1.3942 -0.3413 -0.596
O 3.391 -0.113 0.021 2.3860 1.1325 -1.8568 -0.508
O 0.881 0.295 1.601 0.7069 1.3140 1.5619 -0.492
O -0.010 2.853 -0.138 0.7252 -1.9860 -0.0939 -0.518
O -2.978 0.702 -0.250 1.5047 0.3471 -0.8051 -0.551
O -3.418 -2.858 0.050 -2.2791 -2.1435 4.4455 -0.738
S 1.108 -3.014 0.105 1.3126 0.6043 -0.7580 0.747

No. 3
28
Properties=species:S:1:pos:R:3:forces:R:3:nbo_charge:R:1 method="wB97M-V/def2-TZVPD" e_above_lowest_kcal_mol=28.69 charge=0 homo_lumo_gap_ev=9.450 smiles=CC1(C)N[C@](C)(C#N)C(C)(C)S1 e_tot_ha=-860.16677
C -2.102 -1.008 -0.341 -1.3621 0.2554 0.3053 0.302
C -0.979 -0.462 0.320 2.5684 -0.1830 0.8878 -0.055
C -0.710 1.018 -0.092 1.1181 0.0841 0.2525 -0.088
'''
Result
C 2.844 1.006 -0.449 3.4674 2.3553 -0.7887 -0.662
C -1.565 0.741 0.388 1.0669 -2.0135 1.3686 -0.237
C -1.648 1.990 -0.394 -2.8679 -0.5695 -2.5958 0.746
C -2.771 -0.056 1.002 2.4201 0.8460 4.6653 -0.529
C -3.396 -0.665 -0.147 -2.8643 -1.4324 0.8720 0.773
H -0.001 -2.353 1.004 0.4004 0.3783 1.6353 0.376
H 0.392 -2.412 -0.458 -0.3492 1.5963 0.3039 0.374
H 2.156 -1.154 0.377 -1.9543 1.2023 2.5284 0.237
H 0.990 0.775 -1.636 1.3715 -2.2713 1.6093 0.253
H 4.022 -0.651 -2.029 -4.5782 -1.7102 1.2948 0.250
H 2.172 -1.789 -2.401 1.3265 1.1994 1.3181 0.221
H 2.935 -1.961 -0.484 -0.1149 2.2480 -3.9722 0.191
H 3.539 0.341 0.148 -0.5240 1.1082 -0.4471 0.215
H 2.836 2.039 0.026 -1.3645 -1.4514 0.3932 0.234
H 3.541 1.481 -1.353 -1.8971 -2.0419 1.5666 0.227
H -0.858 1.309 2.364 0.9505 -1.4984 -2.1250 0.414
H -1.301 -0.077 -0.383 0.3857 1.5287 1.1167 0.351
H -3.432 0.340 2.092 1.8734 -0.8724 -4.0547 0.258
H -1.974 -0.871 1.451 -2.7455 1.2778 -0.9170 0.294
H -4.891 -1.501 -0.762 -0.8804 2.0218 2.4396 0.492
H -0.064 2.539 0.527 -1.9768 0.7752 -2.8134 0.502
N 0.084 -1.697 0.258 0.8519 0.0167 -2.7638 -0.854
N -0.542 0.797 1.454 0.3164 2.1639 1.4441 -0.693
O 1.318 0.205 2.575 1.5965 0.7203 1.5144 -0.555
O -2.479 2.150 -1.274 -0.0889 -0.4032 1.0088 -0.593
O -2.732 -1.151 -1.028 -1.8940 0.0887 -0.2248 -0.568
O -4.825 -0.821 0.054 3.3736 -2.4525 -4.2030 -0.681
O -0.670 2.812 -0.328 4.2603 0.9659 3.6343 -0.642

No. 2
33
Properties=species:S:1:pos:R:3:forces:R:3:nbo_charge:R:1 method="wB97M-V/def2-TZVPD" e_above_lowest_kcal_mol=163.41 charge=0 homo_lumo_gap_ev=8.920 e_tot_ha=-1236.24026
C 4.357 -0.479 -1.119 1.0598 0.2155 1.5515 -0.276
C 2.483 -1.052 0.243 0.8405 -0.3740 -1.3567 0.370
C 1.291 -0.783 0.941 -3.7473 -1.5866 0.8816 0.378
C 1.496 1.625 1.353 -0.4218 -0.4648 -0.8018 -0.120
C 1.078 1.916 -0.097 -0.0348 -0.9494 -1.7729 -0.120
C -1.165 2.130 0.169 -2.1814 -0.4696 -0.4421 -0.101
C -1.639 0.981 -0.781 0.1258 0.4850 1.6457 -0.096
C -3.475 -0.570 -0.659 -0.4011 0.4506 1.5197 -0.065
C -3.222 -1.496 0.556 -0.9806 -0.2447 -2.1486 -0.099
H 3.827 -0.719 -2.053 0.1342 -0.0386 0.7179 0.214
H 5.003 -1.262 -0.701 -0.8997 -0.6817 -0.4689 0.206
H 5.218 0.235 -1.297 -1.9334 0.5110 0.4603 0.211
H 1.055 2.362 2.075 0.3191 -1.0112 -0.6485 0.227
H 2.566 1.539 1.446 0.3027 0.0934 0.2848 0.214
H 1.791 2.323 -0.927 -0.6385 -1.0018 2.0689 0.218
H 0.723 0.750 -0.349 0.8995 3.6331 -0.6508 0.181
H -1.222 1.559 1.087 0.7820 0.5513 0.9834 0.178
H -1.955 2.873 0.198 -0.2666 -0.0547 -0.0030 0.198
H -0.868 0.154 -0.817 -1.4663 0.1673 0.5334 0.171
H -1.678 1.342 -1.762 -0.5064 0.5282 -1.8005 0.169
H -4.560 -0.492 -0.873 0.6492 0.0107 -0.0477 0.179
H -2.916 -0.831 -1.516 0.2555 -0.9477 -1.0721 0.172
H -4.018 -1.171 1.260 1.0363 -0.5104 0.2181 0.176
H -2.169 -1.315 0.796 -0.3799 -0.3068 0.8082 0.196
H -3.922 -3.491 0.875 2.4579 3.0368 -3.7790 0.467
N 2.595 -2.205 -0.336 -2.7530 -1.7037 1.1667 -0.594
N 0.353 -1.787 0.900 3.3919 1.3942 -0.3413 -0.596
O 3.391 -0.113 0.021 2.3860 1.1325 -1.8568 -0.508
O 0.881 0.295 1.601 0.7069 1.3140 1.5619 -0.492
O -0.010 2.853 -0.138 0.7252 -1.9860 -0.0939 -0.518
O -2.978 0.702 -0.250 1.5047 0.3471 -0.8051 -0.551
O -3.418 -2.858 0.050 -2.2791 -2.1435 4.4455 -0.738
S 1.108 -3.014 0.105 1.3126 0.6043 -0.7580 0.747

No. 3
28
Properties=species:S:1:pos:R:3:forces:R:3:nbo_charge:R:1 method="wB97M-V/def2-TZVPD" e_above_lowest_kcal_mol=28.69 charge=0 homo_lumo_gap_ev=9.450 smiles=CC1(C)N[C@](C)(C#N)C(C)(C)S1 e_tot_ha=-860.16677
C -2.102 -1.008 -0.341 -1.3621 0.2554 0.3053 0.302
C -0.979 -0.462 0.320 2.5684 -0.1830 0.8878 -0.055
C -0.710 1.018 -0.092 1.1181 0.0841 0.2525 -0.088